### Exercise
Duplicate everything below without additions.

### Input
/*
# YTa2Cu

A relaxed YTa2Cu crystal (PBE, the Alexandria database).

Results
Size of the total moment: 0.0 μB per formula unit
Crystal system: orthorhombic
Volume: 19.47 Å³ per atom
Offset from the most stable computed form: 0.3558 eV per atom

Lattice parameters (Å, degrees): 5.6375 9.6657 2.8579 90.00 90.00 90.00
With the nearest neighbours (Å) after each atom.
Space group Cmmm (No. 65)
Asymmetric unit:
1 Y 0.0000 0.0000 0.0000 (multiplicity 2)  2 Cu 2.82, 2 Y 2.86, 8 Ta 3.14
2 Ta 0.2500 0.2500 0.5000 (multiplicity 4)  4 Ta 2.82-2.86, 4 Cu 3.14, 4 Y 3.14
3 Cu 0.0000 0.5000 0.0000 (multiplicity 2)  2 Y 2.82, 2 Cu 2.86, 8 Ta 3.14
*/

### Solution
# YTa2Cu

A relaxed YTa2Cu crystal (PBE, the Alexandria database).

Results
Size of the total moment: 0.0 μB per formula unit
Crystal system: orthorhombic
Volume: 19.47 Å³ per atom
Offset from the most stable computed form: 0.3558 eV per atom

Lattice parameters (Å, degrees): 5.6375 9.6657 2.8579 90.00 90.00 90.00
With the nearest neighbours (Å) after each atom.
Space group Cmmm (No. 65)
Asymmetric unit:
1 Y 0.0000 0.0000 0.0000 (multiplicity 2)  2 Cu 2.82, 2 Y 2.86, 8 Ta 3.14
2 Ta 0.2500 0.2500 0.5000 (multiplicity 4)  4 Ta 2.82-2.86, 4 Cu 3.14, 4 Y 3.14
3 Cu 0.0000 0.5000 0.0000 (multiplicity 2)  2 Y 2.82, 2 Cu 2.86, 8 Ta 3.14